Retype every line below that contains the word "meV".
<<<
Record 1
Computed, not measured: an optimized crystal structure of ErPd3Au4 at the GGA-PBE level of DFT.

Values from the calculation:
The value obtained for the polymorph energy (0 for the lowest one) is 0.0 meV/atom. The value obtained for the volume is 141.5 Å³ per cell.

Cell lengths 8.859, 8.859, 4.193 Å; angles 103.62, 103.62, 26.31 degrees
Atoms (fractional coordinates):
Er (0.000, 0.000, 0.000)
Pd (0.375, 0.375, 0.875)
Pd (0.500, 0.500, 0.500)
Pd (0.625, 0.625, 0.125)
Au (0.125, 0.125, 0.625)
Au (0.253, 0.253, 0.253)
Au (0.747, 0.747, 0.747)
Au (0.875, 0.875, 0.375)

=====

Record 2
Computed, not measured: an optimized crystal structure of Er8PdAu2 at the GGA-PBE level of DFT.

Values from the calculation:
As for the electronic total energy: -4.87 eV per atom. The value obtained for the volume is 289.0 Å³ per cell.

Cell lengths 9.081, 9.081, 6.762 Å; angles 103.58, 103.58, 32.31 degrees
Atoms (fractional coordinates):
Er (0.029, 0.029, 0.278)
Er (0.204, 0.204, 0.823)
Er (0.338, 0.338, 0.528)
Er (0.410, 0.410, 0.052)
Er (0.590, 0.590, 0.948)
Er (0.662, 0.662, 0.472)
Er (0.796, 0.796, 0.177)
Er (0.971, 0.971, 0.722)
Pd (0.500, 0.500, 0.500)
Au (0.189, 0.189, 0.232)
Au (0.811, 0.811, 0.768)

=====

Record 3
Computed, not measured: an optimized crystal structure of Er2Pd3Au4 at the GGA-PBE level of DFT.

Values from the calculation:
As for the electronic total energy: -4.92 eV per atom. The value obtained for the volume is 166.5 Å³ per cell.

Cell lengths 5.259, 5.259, 8.818 Å; angles 109.71, 109.71, 47.25 degrees
Atoms (fractional coordinates):
Er (0.173, 0.173, 0.232)
Er (0.827, 0.827, 0.768)
Pd (0.162, 0.162, 0.555)
Pd (0.500, 0.500, 0.000)
Pd (0.838, 0.838, 0.445)
Au (0.164, 0.164, 0.888)
Au (0.492, 0.492, 0.662)
Au (0.508, 0.508, 0.338)
Au (0.836, 0.836, 0.112)

=====

Record 4
Computed, not measured: an optimized crystal structure of Er2Pd5Au5 at the GGA-PBE level of DFT.

Values from the calculation:
The value obtained for the polymorph energy (0 for the lowest one) is 93.4 meV/atom. The value obtained for the volume is 226.0 Å³ per cell.

Cell lengths 7.105, 7.105, 7.593 Å; angles 106.22, 106.22, 38.11 degrees
Atoms (fractional coordinates):
Er (0.143, 0.143, 0.278)
Er (0.857, 0.857, 0.722)
Pd (0.000, 0.000, 0.500)
Pd (0.075, 0.075, 0.889)
Pd (0.219, 0.219, 0.690)
Pd (0.781, 0.781, 0.310)
Pd (0.925, 0.925, 0.111)
Au (0.306, 0.306, 0.083)
Au (0.383, 0.383, 0.486)
Au (0.500, 0.500, 0.000)
Au (0.617, 0.617, 0.514)
Au (0.694, 0.694, 0.917)

=====

Question: What is the volume in the third record?
Answer: 166.5 Å³ per cell

=====

Question: volume of number 4 (Er2Pd5Au5)?
Answer: 226.0 Å³ per cell

=====

Question: Among the records above, which one has the highest volume?
Answer: Er8PdAu2

=====

1.
{"formula": "ZrCo2Ru", "functional": "GGA-PBE", "state": "relaxed", "polymorph_energy_ev_per_atom": 0.111, "ef_mev_per_atom": -10, "space_group": "F-43m", "cell": [[6.147, 0.000, 0.000], [0.000, 6.147, 0.000], [0.000, 0.000, 6.147]], "species": ["Zr", "Zr", "Zr", "Zr", "Co", "Co", "Co", "Co", "Co", "Co", "Co", "Co", "Ru", "Ru", "Ru", "Ru"], "fractional_positions": [[0.000, 0.000, 0.000], [0.000, 0.500, 0.500], [0.500, 0.000, 0.500], [0.500, 0.500, 0.000], [0.000, 0.000, 0.500], [0.000, 0.500, 0.000], [0.250, 0.250, 0.250], [0.250, 0.750, 0.750], [0.500, 0.000, 0.000], [0.500, 0.500, 0.500], [0.750, 0.250, 0.750], [0.750, 0.750, 0.250], [0.250, 0.250, 0.750], [0.250, 0.750, 0.250], [0.750, 0.250, 0.250], [0.750, 0.750, 0.750]]}

=====

2.
{"formula": "ZrCo2Ru", "functional": "GGA-PBE", "state": "relaxed", "polymorph_energy_ev_per_atom": 0.094, "ef_mev_per_atom": -27, "space_group": "Pm", "cell": [[2.910, 0.000, 0.000], [0.000, 4.027, 0.000], [-1.440, 0.000, 4.834]], "species": ["Zr", "Co", "Co", "Ru"], "fractional_positions": [[0.000, 0.000, 0.000], [0.593, 0.500, 0.189], [0.732, 0.000, 0.472], [0.308, 0.500, 0.621]]}

=====

3.
>>>
The value obtained for the polymorph energy (0 for the lowest one) is 0.0 meV/atom. The value obtained for the volume is 141.5 Å³ per cell.
The value obtained for the polymorph energy (0 for the lowest one) is 93.4 meV/atom. The value obtained for the volume is 226.0 Å³ per cell.